(Listing)
=====
Entry 1:
Computed, not measured: a relaxed AlTe2Pb crystal at the PBE level of DFT.

## Properties
E_form (uncorrected): -1.1 eV per formula unit

The structure in CIF format:
```
data_AlTe2Pb
_chemical_formula_sum 'Al1 Te2 Pb1'
_space_group_name_H-M_alt 'P 1'
_space_group_IT_number 1
_space_group_name_Hall 'P 1'
_cell_length_a 4.129
_cell_length_b 4.129
_cell_length_c 8.278
_cell_angle_alpha 75.56
_cell_angle_beta 75.56
_cell_angle_gamma 60.00
loop_
_atom_site_label
_atom_site_type_symbol
_atom_site_fract_x
_atom_site_fract_y
_atom_site_fract_z
_atom_site_occupancy
Pb1 Pb 0.496 0.496 0.512 1
Te1 Te 0.268 0.268 0.196 1
Te2 Te 0.070 0.070 0.789 1
Al1 Al 0.666 0.666 0.003 1
```

---

Entry 2:
Computed, not measured: a relaxed Li2TcW crystal at the PBE level of DFT.

## Properties
ΔH_f (0 K): 0.389 eV per atom

The structure in CIF format:
```
data_Li2TcW
_chemical_formula_sum 'Li2 Tc1 W1'
_space_group_name_H-M_alt 'P 1'
_space_group_IT_number 1
_space_group_name_Hall 'P 1'
_cell_length_a 5.285
_cell_length_b 5.285
_cell_length_c 5.285
_cell_angle_alpha 140.55
_cell_angle_beta 140.55
_cell_angle_gamma 57.01
loop_
_atom_site_label
_atom_site_type_symbol
_atom_site_fract_x
_atom_site_fract_y
_atom_site_fract_z
_atom_site_occupancy
Li1 Li 0.500 0.500 0.000 1
W1 W 0.750 0.250 0.500 1
Tc1 Tc 0.250 0.750 0.500 1
Li2 Li 0.000 0.000 0.000 1
```

---

Entry 3:
Computed, not measured: a relaxed Hf2In2Se crystal at the PBE level of DFT.

## Properties
E_form (uncorrected): -1.9 eV per formula unit

The structure in CIF format:
```
data_Hf2In2Se
_chemical_formula_sum 'Hf4 In4 Se2'
_space_group_name_H-M_alt 'P 1'
_space_group_IT_number 1
_space_group_name_Hall 'P 1'
_cell_length_a 6.979
_cell_length_b 6.979
_cell_length_c 4.672
_cell_angle_alpha 90.00
_cell_angle_beta 90.00
_cell_angle_gamma 90.00
loop_
_atom_site_label
_atom_site_type_symbol
_atom_site_fract_x
_atom_site_fract_y
_atom_site_fract_z
_atom_site_occupancy
Se1 Se 0.000 0.000 0.000 1
Se2 Se 0.500 0.500 0.000 1
In1 In 0.849 0.349 0.500 1
In2 In 0.151 0.651 0.500 1
In3 In 0.651 0.849 0.500 1
Hf1 Hf 0.342 0.842 0.000 1
Hf2 Hf 0.842 0.658 0.000 1
Hf3 Hf 0.158 0.342 0.000 1
Hf4 Hf 0.658 0.158 0.000 1
In4 In 0.349 0.151 0.500 1
```

---

Entry 4:
Computed, not measured: a relaxed RbCdMoBr2 crystal at the PBE level of DFT.

## Properties
E_form (uncorrected): 1.2 eV per formula unit

The structure in CIF format:
```
data_RbCdMoBr2
_chemical_formula_sum 'Rb1 Cd1 Mo1 Br2'
_space_group_name_H-M_alt 'P 1'
_space_group_IT_number 1
_space_group_name_Hall 'P 1'
_cell_length_a 5.905
_cell_length_b 5.584
_cell_length_c 5.905
_cell_angle_alpha 90.00
_cell_angle_beta 90.00
_cell_angle_gamma 90.00
loop_
_atom_site_label
_atom_site_type_symbol
_atom_site_fract_x
_atom_site_fract_y
_atom_site_fract_z
_atom_site_occupancy
Cd1 Cd 0.000 0.000 0.000 1
Br1 Br 0.000 0.000 0.500 1
Br2 Br 0.500 0.000 0.000 1
Mo1 Mo 0.000 0.500 0.000 1
Rb1 Rb 0.500 0.500 0.500 1
```

---

Entry 5:
Computed, not measured: a relaxed CaTlAs crystal at the PBE level of DFT.

## Properties
ΔH_f (0 K): -0.397 eV per atom

The structure in CIF format:
```
data_CaTlAs
_chemical_formula_sum 'Ca1 Tl1 As1'
_space_group_name_H-M_alt 'P 1'
_space_group_IT_number 1
_space_group_name_Hall 'P 1'
_cell_length_a 6.472
_cell_length_b 6.244
_cell_length_c 3.803
_cell_angle_alpha 75.91
_cell_angle_beta 69.34
_cell_angle_gamma 34.75
loop_
_atom_site_label
_atom_site_type_symbol
_atom_site_fract_x
_atom_site_fract_y
_atom_site_fract_z
_atom_site_occupancy
Ca1 Ca 0.356 0.356 0.644 1
As1 As 0.997 0.997 0.003 1
Tl1 Tl 0.647 0.647 0.353 1
```

---

Entry 6:
Computed, not measured: a relaxed KNaTeI2 crystal at the PBE level of DFT.

## Properties
E_form (uncorrected): -1.6 eV per formula unit

The structure in CIF format:
```
data_KNaTeI2
_chemical_formula_sum 'K1 Na1 Te1 I2'
_space_group_name_H-M_alt 'P 1'
_space_group_IT_number 1
_space_group_name_Hall 'P 1'
_cell_length_a 6.615
_cell_length_b 6.615
_cell_length_c 6.405
_cell_angle_alpha 90.00
=====

(Brief)
Please quote the whole of the calculation results further above with every line break kept.

(Outcome)
Entry 1:
Computed, not measured: a relaxed AlTe2Pb crystal at the PBE level of DFT.

## Properties
E_form (uncorrected): -1.1 eV per formula unit

The structure in CIF format:
```
data_AlTe2Pb
_chemical_formula_sum 'Al1 Te2 Pb1'
_space_group_name_H-M_alt 'P 1'
_space_group_IT_number 1
_space_group_name_Hall 'P 1'
_cell_length_a 4.129
_cell_length_b 4.129
_cell_length_c 8.278
_cell_angle_alpha 75.56
_cell_angle_beta 75.56
_cell_angle_gamma 60.00
loop_
_atom_site_label
_atom_site_type_symbol
_atom_site_fract_x
_atom_site_fract_y
_atom_site_fract_z
_atom_site_occupancy
Pb1 Pb 0.496 0.496 0.512 1
Te1 Te 0.268 0.268 0.196 1
Te2 Te 0.070 0.070 0.789 1
Al1 Al 0.666 0.666 0.003 1
```

---

Entry 2:
Computed, not measured: a relaxed Li2TcW crystal at the PBE level of DFT.

## Properties
ΔH_f (0 K): 0.389 eV per atom

The structure in CIF format:
```
data_Li2TcW
_chemical_formula_sum 'Li2 Tc1 W1'
_space_group_name_H-M_alt 'P 1'
_space_group_IT_number 1
_space_group_name_Hall 'P 1'
_cell_length_a 5.285
_cell_length_b 5.285
_cell_length_c 5.285
_cell_angle_alpha 140.55
_cell_angle_beta 140.55
_cell_angle_gamma 57.01
loop_
_atom_site_label
_atom_site_type_symbol
_atom_site_fract_x
_atom_site_fract_y
_atom_site_fract_z
_atom_site_occupancy
Li1 Li 0.500 0.500 0.000 1
W1 W 0.750 0.250 0.500 1
Tc1 Tc 0.250 0.750 0.500 1
Li2 Li 0.000 0.000 0.000 1
```

---

Entry 3:
Computed, not measured: a relaxed Hf2In2Se crystal at the PBE level of DFT.

## Properties
E_form (uncorrected): -1.9 eV per formula unit

The structure in CIF format:
```
data_Hf2In2Se
_chemical_formula_sum 'Hf4 In4 Se2'
_space_group_name_H-M_alt 'P 1'
_space_group_IT_number 1
_space_group_name_Hall 'P 1'
_cell_length_a 6.979
_cell_length_b 6.979
_cell_length_c 4.672
_cell_angle_alpha 90.00
_cell_angle_beta 90.00
_cell_angle_gamma 90.00
loop_
_atom_site_label
_atom_site_type_symbol
_atom_site_fract_x
_atom_site_fract_y
_atom_site_fract_z
_atom_site_occupancy
Se1 Se 0.000 0.000 0.000 1
Se2 Se 0.500 0.500 0.000 1
In1 In 0.849 0.349 0.500 1
In2 In 0.151 0.651 0.500 1
In3 In 0.651 0.849 0.500 1
Hf1 Hf 0.342 0.842 0.000 1
Hf2 Hf 0.842 0.658 0.000 1
Hf3 Hf 0.158 0.342 0.000 1
Hf4 Hf 0.658 0.158 0.000 1
In4 In 0.349 0.151 0.500 1
```

---

Entry 4:
Computed, not measured: a relaxed RbCdMoBr2 crystal at the PBE level of DFT.

## Properties
E_form (uncorrected): 1.2 eV per formula unit

The structure in CIF format:
```
data_RbCdMoBr2
_chemical_formula_sum 'Rb1 Cd1 Mo1 Br2'
_space_group_name_H-M_alt 'P 1'
_space_group_IT_number 1
_space_group_name_Hall 'P 1'
_cell_length_a 5.905
_cell_length_b 5.584
_cell_length_c 5.905
_cell_angle_alpha 90.00
_cell_angle_beta 90.00
_cell_angle_gamma 90.00
loop_
_atom_site_label
_atom_site_type_symbol
_atom_site_fract_x
_atom_site_fract_y
_atom_site_fract_z
_atom_site_occupancy
Cd1 Cd 0.000 0.000 0.000 1
Br1 Br 0.000 0.000 0.500 1
Br2 Br 0.500 0.000 0.000 1
Mo1 Mo 0.000 0.500 0.000 1
Rb1 Rb 0.500 0.500 0.500 1
```

---

Entry 5:
Computed, not measured: a relaxed CaTlAs crystal at the PBE level of DFT.

## Properties
ΔH_f (0 K): -0.397 eV per atom

The structure in CIF format:
```
data_CaTlAs
_chemical_formula_sum 'Ca1 Tl1 As1'
_space_group_name_H-M_alt 'P 1'
_space_group_IT_number 1
_space_group_name_Hall 'P 1'
_cell_length_a 6.472
_cell_length_b 6.244
_cell_length_c 3.803
_cell_angle_alpha 75.91
_cell_angle_beta 69.34
_cell_angle_gamma 34.75
loop_
_atom_site_label
_atom_site_type_symbol
_atom_site_fract_x
_atom_site_fract_y
_atom_site_fract_z
_atom_site_occupancy
Ca1 Ca 0.356 0.356 0.644 1
As1 As 0.997 0.997 0.003 1
Tl1 Tl 0.647 0.647 0.353 1
```

---

Entry 6:
Computed, not measured: a relaxed KNaTeI2 crystal at the PBE level of DFT.

## Properties
E_form (uncorrected): -1.6 eV per formula unit

The structure in CIF format:
```
data_KNaTeI2
_chemical_formula_sum 'K1 Na1 Te1 I2'
_space_group_name_H-M_alt 'P 1'
_space_group_IT_number 1
_space_group_name_Hall 'P 1'
_cell_length_a 6.615
_cell_length_b 6.615
_cell_length_c 6.405
_cell_angle_alpha 90.00